### Request
Find "0.186" and "0.395 0.425" in the entries further below, and transcribe these two lines and those between.

### Material
┌──
# 1
This entry pairs a crystal structure of ThUH8C8O20 with its theoretical powder X-ray diffraction pattern. Radiation: Cu Kα. Structure: a crystal structure in the Materials Project, relaxed with PBE.

Principal peaks in the range 2θ = 5–70°, in order of rising 2θ:
2θ = 16.0°, 5.550 Å, rel. 100
2θ = 16.2°, 5.464 Å, rel. 32
2θ = 27.7°, 3.221 Å, rel. 16
2θ = 28.1°, 3.171 Å, rel. 21
2θ = 30.9°, 2.898 Å, rel. 16
2θ = 32.3°, 2.775 Å, rel. 13
2θ = 33.4°, 2.686 Å, rel. 14
2θ = 38.8°, 2.318 Å, rel. 11
2θ = 43.4°, 2.084 Å, rel. 12
2θ = 49.3°, 1.850 Å, rel. 11

Unit cell a=6.978 b=6.978 c=9.612 alpha=90.00 beta=90.00 gamma=103.07
Fractional coordinates of all 38 atoms:
Th 0.000 0.000 0.000
U 0.500 0.500 0.500
H 0.139 0.710 0.453
H 0.211 0.637 0.953
H 0.290 0.861 0.547
H 0.363 0.789 0.047
H 0.637 0.211 0.047
H 0.710 0.139 0.547
H 0.789 0.363 0.953
H 0.861 0.290 0.453
C 0.156 0.267 0.284
C 0.235 0.347 0.781
C 0.267 0.156 0.716
C 0.347 0.235 0.219
C 0.653 0.765 0.219
C 0.733 0.844 0.716
C 0.765 0.653 0.781
C 0.844 0.733 0.284
O 0.002 0.802 0.220
O 0.143 0.334 0.896
O 0.173 0.362 0.398
O 0.198 0.998 0.780
O 0.235 0.765 0.000
O 0.266 0.734 0.500
O 0.305 0.503 0.715
O 0.334 0.143 0.104
O 0.362 0.173 0.602
O 0.497 0.695 0.285
O 0.503 0.305 0.285
O 0.638 0.827 0.602
O 0.666 0.857 0.104
O 0.695 0.497 0.715
O 0.734 0.266 0.500
O 0.765 0.235 0.000
O 0.802 0.002 0.780
O 0.827 0.638 0.398
O 0.857 0.666 0.896
O 0.998 0.198 0.220

***

# 2
This entry pairs a crystal structure of UH3CO6 with its theoretical powder X-ray diffraction pattern. Radiation: Cu Kα. Structure: a crystal structure in the Materials Project, relaxed with PBE.

Principal peaks in the range 2θ = 5–70°, in order of rising 2θ:
2θ = 14.3°, 6.189 Å, rel. 99
2θ = 15.8°, 5.622 Å, rel. 67
2θ = 17.6°, 5.035 Å, rel. 87
2θ = 19.4°, 4.586 Å, rel. 100
2θ = 22.2°, 4.005 Å, rel. 73
2θ = 22.9°, 3.891 Å, rel. 53
2θ = 23.4°, 3.800 Å, rel. 50
2θ = 27.9°, 3.197 Å, rel. 90
2θ = 31.8°, 2.810 Å, rel. 52
2θ = 36.4°, 2.471 Å, rel. 40

Unit cell a=5.683 b=6.272 c=7.842 alpha=85.69 beta=88.81 gamma=81.63
Fractional coordinates of all 22 atoms:
U 0.134 0.146 0.298
U 0.866 0.854 0.702
H 0.036 0.633 0.314
H 0.129 0.408 0.845
H 0.291 0.757 0.498
H 0.709 0.243 0.502
H 0.871 0.592 0.155
H 0.964 0.367 0.686
C 0.472 0.111 0.952
C 0.528 0.889 0.048
O 0.016 0.478 0.756
O 0.110 0.919 0.823
O 0.125 0.805 0.462
O 0.315 0.247 0.019
O 0.372 0.223 0.419
O 0.416 0.858 0.186
O 0.584 0.142 0.814
O 0.628 0.777 0.581
O 0.685 0.753 0.981
O 0.875 0.195 0.538
O 0.890 0.081 0.177
O 0.984 0.522 0.244

***

# 3
This entry pairs a crystal structure of UH4C4O10 with its theoretical powder X-ray diffraction pattern. Radiation: Cu Kα. Structure: a crystal structure in the Materials Project, relaxed with PBE.

Principal peaks in the range 2θ = 5–70°, in order of rising 2θ:
2θ = 16.1°, 5.497 Å, rel. 98
2θ = 16.3°, 5.450 Å, rel. 100
2θ = 16.8°, 5.285 Å, rel. 59
2θ = 18.4°, 4.822 Å, rel. 20
2θ = 27.9°, 3.199 Å, rel. 32
2θ = 28.8°, 3.099 Å, rel. 19
2θ = 29.0°, 3.074 Å, rel. 21
2θ = 30.8°, 2.904 Å, rel. 17
2θ = 33.9°, 2.646 Å, rel. 33
2θ = 39.1°, 2.303 Å, rel. 22

Unit cell a=6.799 b=6.799 c=9.645 alpha=90.65 beta=90.65 gamma=77.94
Fractional coordinates of all 38 atoms:
U 0.249 0.751 0.750
U 0.751 0.249 0.250
H 0.066 0.507 0.176
H 0.074 0.361 0.710
H 0.361 0.074 0.210
H 0.493 0.934 0.324
H 0.507 0.066 0.676
H 0.639 0.926 0.790
H 0.926 0.639 0.290
H 0.934 0.493 0.824
C 0.026 0.097 0.528
C 0.097 0.026 0.028
C 0.404 0.494 0.038
C 0.494 0.404 0.538
C 0.506 0.596 0.462
C 0.596 0.506 0.962
C 0.903 0.974 0.972
C 0.974 0.903 0.472
O 0.021 0.750 0.548
O 0.040 0.493 0.757
O 0.088 0.114 0.145
O 0.114 0.088 0.645
O 0.239 0.582 0.985
O 0.250 0.979 0.952
O 0.395 0.425 0.650
O 0.418 0.761 0.515
O 0.425 0.395 0.150
O 0.493 0.040 0.257
O 0.507 0.960 0.743
O 0.575 0.605 0.850
O 0.582 0.239 0.485
O 0.605 0.575 0.350
O 0.750 0.021 0.048
O 0.761 0.418 0.015
O 0.886 0.912 0.355
O 0.912 0.886 0.855
O 0.960 0.507 0.243
O 0.979 0.250 0.452

***

# 4
└──

### Written answer
O 0.416 0.858 0.186
O 0.584 0.142 0.814
O 0.628 0.777 0.581
O 0.685 0.753 0.981
O 0.875 0.195 0.538
O 0.890 0.081 0.177
O 0.984 0.522 0.244

***

# 3
This entry pairs a crystal structure of UH4C4O10 with its theoretical powder X-ray diffraction pattern. Radiation: Cu Kα. Structure: a crystal structure in the Materials Project, relaxed with PBE.

Principal peaks in the range 2θ = 5–70°, in order of rising 2θ:
2θ = 16.1°, 5.497 Å, rel. 98
2θ = 16.3°, 5.450 Å, rel. 100
2θ = 16.8°, 5.285 Å, rel. 59
2θ = 18.4°, 4.822 Å, rel. 20
2θ = 27.9°, 3.199 Å, rel. 32
2θ = 28.8°, 3.099 Å, rel. 19
2θ = 29.0°, 3.074 Å, rel. 21
2θ = 30.8°, 2.904 Å, rel. 17
2θ = 33.9°, 2.646 Å, rel. 33
2θ = 39.1°, 2.303 Å, rel. 22

Unit cell a=6.799 b=6.799 c=9.645 alpha=90.65 beta=90.65 gamma=77.94
Fractional coordinates of all 38 atoms:
U 0.249 0.751 0.750
U 0.751 0.249 0.250
H 0.066 0.507 0.176
H 0.074 0.361 0.710
H 0.361 0.074 0.210
H 0.493 0.934 0.324
H 0.507 0.066 0.676
H 0.639 0.926 0.790
H 0.926 0.639 0.290
H 0.934 0.493 0.824
C 0.026 0.097 0.528
C 0.097 0.026 0.028
C 0.404 0.494 0.038
C 0.494 0.404 0.538
C 0.506 0.596 0.462
C 0.596 0.506 0.962
C 0.903 0.974 0.972
C 0.974 0.903 0.472
O 0.021 0.750 0.548
O 0.040 0.493 0.757
O 0.088 0.114 0.145
O 0.114 0.088 0.645
O 0.239 0.582 0.985
O 0.250 0.979 0.952
O 0.395 0.425 0.650